We may as well add today the conclusion of the Life of Mar Aba.
41. In order to avoid wearying you, through hearing too much, let us pass over what God soon did through him and for his sake in many distant countries, through arbitrating disputes which Satan, the enemy of our nature, had aroused; then in the imprisonment, which he endured for seven years in Azerbaijan; then in the fetters which he wore for three years around his neck, hands and feet at the king’s court.
/*
(P)
DFT (ωB97M-V/def2-TZVPD) results for an isolated molecule of C5H8N2.

The geometry in XYZ format:
```
15
Properties=species:S:1:pos:R:3:mulliken_charge:R:1
C 2.1735 -0.1396 0.4914 -1.12
C 1.1594 0.0698 -0.7306 0.30
C 0.6470 1.2707 -0.2105 -0.52
N -0.6025 1.2221 0.1785 -0.91
N -1.0171 0.0281 -0.2908 0.65
C -2.3604 -0.3704 0.0398 -0.75
C -0.0432 -0.6710 -0.8948 -0.37
H 3.1651 0.2853 0.3385 0.28
H 2.2002 -1.1961 0.7113 0.34
H 1.8164 0.3255 1.4445 0.34
H 1.2779 2.1222 -0.0258 0.53
H -3.0639 0.3237 -0.4163 0.26
H -2.4666 -0.3282 1.1296 0.29
H -2.5327 -1.3918 -0.3009 0.30
H -0.3529 -1.5502 -1.4640 0.39
```

multiplicity = 1
Kohn-Sham gap = 9.0 eV
SMILES = Cc1cnn(C)c1

=====

(Q)
DFT (ωB97M-V/def2-TZVPD) results for a structure of composition C5H8N2.

The geometry in XYZ format:
```
15
Properties=species:S:1:pos:R:3:mulliken_charge:R:1
C -1.8627 -1.0871 -0.0823 -0.72
N -0.9832 0.5043 -0.8148 -0.47
C -0.9551 0.6230 0.5987 -0.24
C 0.3518 0.5345 1.0885 -0.90
C 1.1638 0.3102 -0.0465 1.06
N 2.5442 0.1274 -0.0476 -0.52
C 0.3054 0.2795 -1.1712 -0.80
H -2.5863 -1.0590 0.7388 0.32
H -2.3586 -1.2330 -1.0413 0.28
H -1.0230 -1.7574 0.0999 0.31
H -1.8095 1.0561 1.1134 0.52
H 0.6814 0.6221 2.1227 0.35
H 3.0339 0.5573 0.7301 0.25
H 3.0010 0.3237 -0.9314 0.24
H 0.5799 0.1147 -2.2116 0.35
```

multiplicity = 1
Kohn-Sham gap = 8.8 eV

=====

(R)
DFT (ωB97M-V/def2-TZVPD) results for an isolated molecule of C5H8N2.

The geometry in XYZ format:
```
15
Properties=species:S:1:pos:R:3:mulliken_charge:R:1
C 0.5201 -0.4814 1.9358 -1.35
C 0.0147 0.3257 0.7701 0.43
C 0.8119 0.2712 -0.5954 -0.34
C 1.6365 -0.7464 -1.2734 0.08
N 2.1668 -1.5070 -1.9719 -0.46
N -0.5252 -0.2061 -0.4181 -0.18
C -1.6097 0.3639 -1.1676 -0.87
H 0.9113 -1.4335 1.5789 0.34
H 1.3431 0.0896 2.3857 0.31
H -0.2236 -0.6518 2.7218 0.33
H -0.4758 1.2669 1.0983 0.40
H 1.0825 1.2696 -0.9359 0.38
H -1.5642 1.4579 -1.2758 0.35
H -2.5480 0.0722 -0.6947 0.29
H -1.5406 -0.0909 -2.1577 0.30
```

multiplicity = 1
Kohn-Sham gap = 10.6 eV
SMILES = C[C@H]1[C@@H](C#N)N1C

=====

(S)
DFT (ωB97M-V/def2-TZVPD) results for an isolated molecule of C5H8N2.

The geometry in XYZ format:
```
15
Properties=species:S:1:pos:R:3:mulliken_charge:R:1
C -2.4064 -0.7400 0.0908 -1.00
C -1.0516 -0.1145 -0.0325 0.63
C -0.7246 1.2426 -0.2516 -0.74
C 0.6506 1.2768 -0.2195 -0.31
N 1.0680 0.0118 0.0081 0.70
C 2.4252 -0.4741 0.1276 -0.79
N 0.0447 -0.8496 0.1171 -0.91
H -3.1495 -0.1865 -0.4912 0.30
H -2.7373 -0.7468 1.1352 0.22
H -2.3791 -1.7769 -0.2550 0.32
H -1.3987 2.0755 -0.3984 0.34
H 1.3558 2.0887 -0.3351 0.39
H 2.8414 -0.7556 -0.8458 0.27
H 2.4045 -1.3518 0.7774 0.29
H 3.0570 0.3006 0.5729 0.30
```

multiplicity = 1
Kohn-Sham gap = 10.0 eV
SMILES = Cc1ccn(C)n1

=====

Most favorable structure: (S). The second most favorable one is 1.826 eV above it.

=====

(P)
DFT (ωB97M-V/def2-TZVPD) results for an isolated molecule of C5H8N2.

The geometry in XYZ format:
```
15
Properties=species:S:1:pos:R:3:mulliken_charge:R:1
*/
There is a lot of this, and in many parts; the mouth is unable to tell it all, and you already know much of it.
So we end our words with the words of the blessed David, and say: “Blessed is the people that has such a man, and blessed is the people at whose head stands such a man, to feed the flock of our Saviour Jesus Christ.”
Thanks so much for completing the translation. The Church of the East seems so often overlooked.
I found interesting in these last chapters the practice of touching the body of the saint with towels to make them holy relics.
Congratulations! The humble scribe has at last reached the harbour. You should really round it off with a suitable colophon in the best Syriac style: ‘I, Roger, scribe in name only, but as far from the true dignity of that esteemed profession as the earth from the moon, have befouled and spattered these unworthy pages. This work was completed by the Grace of God on Thursday 5 ilul in the year 2324 of the blessed Greeks [or is is 2325, I can never remember when the Syriac year starts], during the time of Mart Elizabeth queen of the English and Mar Rowan archbishop of Canterbury [I’m not sure, living in remote Hong Kong, whether that’s still true] …’
The comment on towels. I am pretty sure it was also a practice to dip handkerchiefs and towels in the blood of martyrs executed in the arena, for the same purpose. Speaking from memory, I believe this was done when Cyprian was martyred in Carthage.
I wondered what the handkerchiefs etc thing was about – thank you.
# Misplaced calculated molecules
____________
Computed, not measured: the molecule C4H8N2, with ωB97M-V with the def2-TZVPD basis set.

The energy relative to the best compared isomer or geometry (same formula, charge and spin) comes out at 335.0 kJ/mol. The LUMO energy (spin up / spin down) comes out at 0.262 / 0.099 eV. The calculation puts the electronic energy at -7254.40362 eV.

Each atom is followed by the atoms it is bonded to, with distances in Å.
Positions of all 14 atoms, in Å:
1 H -2.451 -0.196 -0.160  C11 1.093
2 N 2.506 0.612 0.385  C9 1.257
3 H -1.113 1.399 1.248  C7 1.092
4 N -0.354 -0.018 -0.090  C7 1.459, C10 1.309, C11 1.457
5 H -1.546 -1.700 -0.482  C11 1.092
6 H -1.649 -1.060 1.176  C11 1.096
7 C -0.272 1.286 0.561  H3 1.092, N4 1.459, H12 1.094, H14 1.104
8 H 0.490 -1.499 -1.172  C10 1.093
9 C 2.111 -0.144 -0.538  N2 1.257, C10 1.487, H13 1.114
10 C 0.685 -0.533 -0.697  N4 1.309, H8 1.093, C9 1.487
11 C -1.575 -0.788 0.117  H1 1.093, N4 1.457, H5 1.092, H6 1.096
12 H -0.300 2.080 -0.192  C7 1.094
13 H 2.749 -0.768 -1.204  C9 1.114
14 H 0.718 1.328 1.048  C7 1.104

Löwdin atomic charge list, values in e, 6 entries: 0.093, 0.051, 0.086, -0.219, 0.087, 0.098


# C28H78N6O10

8 unconnected molecules or ions with the total composition C28H78N6O10 at a distorted geometry (ωB97M-V/def2-TZVPD, the Open Molecules 2025 dataset).

- ΔE to the lowest compared entry with this formula, charge and spin: 6.094 eV
- E: -2194.32929 a.u.
- LUMO energy: 0.31 eV
- Kohn-Sham gap: 8.41 eV

ORCA input file:
```
! RIJCOSX wB97M-V def2-TZVPD def2/J DEFGRID3
* xyz 0 1
C -21.502 -17.412 23.990
C -22.345 -16.539 23.073
C -21.576 -15.580 22.167
O -20.577 -16.220 21.398
C -19.675 -15.284 20.874
N -23.335 -17.289 22.276
H -21.166 -16.966 24.927
H -20.650 -17.925 23.536
H -22.174 -18.225 24.288
H -22.852 -15.917 23.824
H -21.021 -14.941 22.856
H -22.323 -15.088 21.536
H -19.062 -15.765 20.112
H -18.960 -14.817 21.566
H -20.242 -14.440 20.463
H -23.501 -18.212 22.662
H -22.823 -17.479 21.413
C -21.948 -14.517 17.274
C -20.537 -13.983 17.455
C -19.492 -14.653 16.569
O -18.254 -14.077 16.975
C -17.108 -14.839 16.668
N -20.500 -12.504 17.298
H -22.197 -14.546 16.208
H -22.709 -14.034 17.876
H -21.909 -15.571 17.575
H -20.256 -14.178 18.493
H -19.647 -14.465 15.499
H -19.474 -15.744 16.656
H -16.179 -14.281 16.635
H -17.267 -15.330 15.699
H -17.026 -15.702 17.340
H -20.766 -12.371 16.324
H -19.497 -12.405 17.453
C -24.020 -5.102 16.288
C -23.844 -6.606 16.103
C -23.625 -7.049 14.636
O -24.456 -8.083 14.190
C -23.960 -8.690 13.005
N -22.949 -7.265 17.018
H -23.293 -4.640 15.614
H -23.883 -4.851 17.340
H -25.043 -4.762 16.121
H -24.845 -7.020 16.302
H -22.573 -7.363 14.548
H -23.656 -6.127 14.037
H -22.883 -8.833 13.120
H -24.243 -8.185 12.081
H -24.395 -9.691 13.009
H -21.955 -7.174 16.863
H -23.189 -7.014 17.967
C -17.644 -12.960 26.302
C -17.807 -12.384 24.887
C -19.083 -12.943 24.249
O -20.197 -12.655 25.056
C -21.458 -12.961 24.556
N -17.857 -10.920 24.968
H -16.690 -12.746 26.782
____________
# End of the calculated molecules
LOL. Well, when I gather the bits together and write some kind of preface, in a way that is what I shall be doing.
Colophons were always interesting things, I agree.
@Neunder, thank you for your good wishes and encouragement, without which I might not have.
Isn’t it crazy that so interesting a text has never been translated into English? I hope that my efforts (from German) may perhaps shame someone into doing the job. It’s not that long a text, after all.
I agree about the Church of the East. But until we have Bar Hebraeus’ Chronicon Ecclesiasticum in English, I suspect that this group will remain very obscure.